In the past I have written about a vision for human civilizational flourishing, and would like to follow up those thoughts briefly now. More to the point, I wish to offer a deeper or foundational basis for those previous ideas. One might consider this to be a simple philosophical basis for action in the 21st Century. These thoughts are also directly relevant to my most recent post, about The Singularity & Convergent Risk.

Assume Nothing

The simplest, most pure basis for any philosophy – especially one that would be in harmony with empirical science – is to assume nothing. Start at the beginning, examine all assumptions.

Cogito Ergo Sum: Existence & Survival

Model i:
Material: LiV2F7
Method: DFT, PBE+U
State: optimized geometry

Space-group type   C2/c, No. 15

Unit cell a=9.1560 b=9.1560 c=5.6368 alpha=87.18 beta=87.18 gamma=31.46
Fractional positions:
F: 0.1925 0.0876 0.0141
F: 0.9124 0.8075 0.4859
F: 0.4745 0.3749 0.5695
F: 0.0876 0.1925 0.5141
F: 0.3749 0.4745 0.0695
F: 0.3901 0.1965 0.2930
F: 0.8035 0.6099 0.2070
F: 0.6251 0.5255 0.9305
F: 0.8873 0.1127 0.2500
F: 0.1965 0.3901 0.7930
F: 0.8075 0.9124 0.9859
F: 0.5255 0.6251 0.4305
F: 0.6099 0.8035 0.7070
F: 0.1127 0.8873 0.7500
V: 0.3608 0.8521 0.7202
V: 0.6392 0.1479 0.2798
V: 0.1479 0.6392 0.7798
V: 0.8521 0.3608 0.2202
Li: 0.0000 0.5000 0.5000
Li: 0.5000 0.0000 0.0000

***

Model ii:
Material: LiV2F7
Method: DFT, PBE+U
State: optimized geometry

Space-group type   Pc, No. 7

Unit cell a=7.1481 b=7.8207 c=10.1839 alpha=89.14 beta=90.00 gamma=90.00
Fractional positions:
V: 0.6095 0.8816 0.5794
V: 0.8838 0.1183 0.4172
V: 0.3829 0.6024 0.4079
V: 0.1162 0.1183 0.9172
V: 0.1085 0.3965 0.5918
V: 0.3905 0.8816 0.0794
V: 0.6171 0.6024 0.9079
V: 0.8915 0.3965 0.0918
F: 0.3887 0.4461 0.5726
F: 0.8651 0.1937 0.9748
F: 0.3597 0.7359 0.2359
F: 0.6113 0.4461 0.0726
F: 0.6341 0.6948 0.4474
F: 0.6403 0.7359 0.7359
F: 0.0610 0.9444 0.8005
F: 0.8821 0.5480 0.9299
F: 0.5615 0.4095 0.8109
F: 0.8360 0.3132 0.5560
F: 0.0523 0.5991 0.6791
F: 0.1179 0.5480 0.4299
F: 0.1640 0.3132 0.0560
F: 0.6627 0.8087 0.0368
F: 0.1349 0.1937 0.4748
F: 0.1126 0.9369 0.0651
F: 0.9390 0.9444 0.3005
F: 0.1403 0.2752 0.7594
F: 0.3373 0.8087 0.5368
F: 0.9477 0.5991 0.1791
F: 0.3808 0.0623 0.9347
F: 0.4547 0.0700 0.1823
F: 0.8874 0.9369 0.5651
F: 0.6192 0.0623 0.4347
F: 0.3659 0.6948 0.9474
F: 0.4385 0.4095 0.3109
F: 0.8597 0.2752 0.2594
F: 0.5453 0.0700 0.6823
Li: 0.1068 0.8287 0.6445
Li: 0.4078 0.3043 0.1489
Li: 0.8932 0.8287 0.1445
Li: 0.5922 0.3043 0.6489

***

Model iii:
Material: LiV2F7
Method: DFT, PBE+U
State: optimized geometry

Space-group type   P2/c, No. 13

Unit cell a=5.1915 b=5.5509 c=10.3072 alpha=79.78 beta=90.00 gamma=90.00
Fractional positions:
F: 0.9131 0.3335 0.6300
F: 0.5589 0.2177 0.9836
F: 0.0869 0.3335 0.1300
F: 0.5589 0.7823 0.5164
F: 0.0519 0.8462 0.6056
F: 0.0519 0.1538 0.8944
F: 0.4411 0.2177 0.4836
F: 0.5792 0.0000 0.7500
F: 0.9481 0.8462 0.1056
F: 0.4411 0.7823 0.0164
F: 0.9481 0.1538 0.3944
F: 0.0869 0.6665 0.3700
F: 0.4208 0.0000 0.2500
F: 0.9131 0.6665 0.8700
Li: 0.0600 0.5000 0.7500
Li: 0.9400 0.5000 0.2500
V: 0.2494 0.0708 0.0734
V: 0.7506 0.0708 0.5734
V: 0.2494 0.9292 0.4266
V: 0.7506 0.9292 0.9266

***

Which of them is the most stable, and which is the least stable? model i and model iii, in that order.

***

Model i:
Material: Li2Fe3CoO8
Method: DFT, PBE+U
State: optimized geometry

Space-group type   P4_132, No. 213

Unit cell a=8.3741 b=8.3741 c=8.3741 alpha=90.00 beta=90.00 gamma=90.00
Fractional positions:
Co: 0.1250 0.6250 0.8750
Co: 0.3750 0.3750 0.3750
Co: 0.8750 0.1250 0.6250
Co: 0.6250 0.8750 0.1250
O: 0.3808 0.6029 0.3836
# The article goes on

Starting from a position of pure skepticism, our next step is the one long ago developed by Descartes; To conclude that Cogito, Ergo Sum. Or, in other words, that the only thing we can be sure of is our own awareness. That we exist. It is from this knowledge that we can infer that survival is important. Survival, after all, is continuation of the only thing we can be truly sure of.

From Preservation to Extension

Survival includes not just the survival of people, but of knowledge, of the work of civilization. We who value civilization must work to preserve knowledge, and from there work to extend and develop that knowledge. Each generation owes that work to the next. In other words, we owe it to ourselves and future generations to increase our sphere of influence, so that civilization can best survive and thrive.

To Transhumanists, this idea is familiar as the ‘CMT’ or ‘Central Meme of Transhumanism’: That We Can And Should Improve The Human Condition Through Technology. Furthermore, the idea is writ large, applied beyond the individual to our communities, societies, and civilization as a whole.

Taken together, the three points above constitute The Imperative. The Imperative is, quite simply, the idea that given the fact of our existence, we must work to preserve and extend that existence, both for ourselves and for future generations.

The Circle

I continue to be involved in various groups and organizations, but have learned in recent years that organised work does not arise well from discussion groups, where people have a tendency to sit back and observe rather than pitching in to do their part. My answer to that is to focus on a small group of highly committed people to drive projects forward. A “Circle”. If each committed person has their own focus and Circle, working to meet their commitment to that small group, then community will naturally emerge from the various overlapping Circles.

I would encourage you to think about your own Circle. It probably exists already, even if you haven’t thought about it in those terms. If you don’t have a Circle, then I would suggest that you ask yourself why.